Jupiter Capricorn sextile Neptune Pisces
– Thursday 20th February (15:56 GMT)
There’s a major planetary aspect taking place today, February 20th between Pisces’ co-rulers, Jupiter and Neptune. This is the first of three connections between these two major planets in 2020. Here’s the pattern:
- Jupiter Capricorn sextile Neptune Pisces
- February 20, 2020 [17 degrees 44]
- July 27, 2020 [20 degrees 40]
- October 12, 2020 [18 degrees 46]
Jupiter & Neptune
Jupiter is God of the Sky and represents expansion, opportunity and foreign connections. Neptune is God of the Sea, a cosmic, illusionary and dreamlike planet. Together, these two planets conjure up ideals & opportunity, dreams and vision, hope and faith. Ultimately, this is a charitable and altruistic pairing.
Jupiter and Neptune want to inspire you to go further and see beyond what’s possible. Surrender, sacrifice & salvation are Jupiter-Neptune themes which are heart-led. This is not about the ego or personal issues. Instead, something that connects you beyond your everyday experience, a deeper reason or purpose to pursue a new way of living or being.
In your life personally, this can play out in different ways. You might want to offer help or take on a caring role and feel an abundance of compassion within you which can’t or won’t stop giving.
This combination could connect you to a spiritual or divine experience. You may have a strong religious or mystical yearning. At the very least, you could find yourself wanting to stretch your comfort zone and experience more of what life has to offer. You may embark on a new career or vocation, one that links in to your dreams or wish fulfilment.
Earth & Water
Records of crystals from another source follow:
Theoretical powder X-ray diffraction pattern
Compound: NpRh5
Radiation: Cu Ka
Structure: a DFT-relaxed cell (PBE, Alexandria)

Structural model:
```
NpRh5
1.0
8.8354 0.0000 0.0000
0.0000 4.0088 0.0000
-1.8114 0.0000 5.2768
Np Rh
2 10
direct
0.0000 0.0000 0.0000 Np
0.5000 0.5000 0.0000 Np
0.0000 0.0000 0.5000 Rh
0.1630 0.5000 0.3299 Rh
0.1696 0.5000 0.8273 Rh
0.3304 0.0000 0.1727 Rh
0.3370 0.0000 0.6701 Rh
0.5000 0.5000 0.5000 Rh
0.6630 0.0000 0.3299 Rh
0.6696 0.0000 0.8273 Rh
0.8304 0.5000 0.1727 Rh
0.8370 0.5000 0.6701 Rh
```

Largest 6 diffraction maxima, most intense first, 2θ from 15° to 90°:
index, 2θ/deg, I/Imax
3 1 0, 39.37, 100
0 2 0, 45.24, 18
4 0 -2, 45.82, 16
Here the entry continues:
If you have planets or angles at 17 degrees of the earth (Taurus, Virgo, Capricorn) or water signs (Cancer, Scorpio, Pisces), you are currently in flow and can pick up on this inspirational planetary aspect.
You could go on a magical mystery tour, fall head over heels in love, act out of devotion, find your muse or tap in to your creative or spiritual source.
Ultimately, this is about manifesting your dreams and bringing your hopes and visions down to earth. Get practical with your ideas. Hear what’s calling you and plan accordingly.
I have had the most dreadful 24 hours between yesterday and it was not resolved until 2.30pm today. It was all to do with a well known booking system that I manage on behalf of a charity I volunteer with. It has left me very stressed and exhausted and other work I should have been doing for the charity has fallen behind. I am Taurean and at 70 years old with a heart condition found this very difficult to deal with. I thought it was the retrograde stuff going on at present but the good feeling I should have now according to above has not happened
It sounds very Mercury retrograde, Jenni. Take good care of yourself. The Jupiter-Neptune is a broader planetary influence and won’t be felt by everyone. It’s most important for you when you have planets/angles at 17 degrees. Sending best wishes.
I’ve had car issues and little weird things happening with my phone (missed texts and calls etc) and laptop, but I Usually have sooo much energy and I’m just spent and exhausted lately. I’m an Aries sun, & Mercury, but my chart Is 40% earth, only 30% fire, 20% water, and 10% air. Aries sun, Sagittarius rising; Pisces moon; Jupiter in Scorpio; Taurus: Venus, Saturn, and Mars; Pluto in Virgo. I don’t know how to figure out if it’s 17 degrees…
The issues you’re describing are very resonant of Mercury retrograde. As an Aries Sun, your energy is likely to be better once the Sun enters your star sign on March 20th. You actually have the Sun in the most hidden sector of your horoscope right now and as the Sun rules vitality, this is a good time for you to take the pace slow and do less not more. It sounds as if you know your birth chart – if you do, there will be numbers to the left of the star signs and to the right. So if you read 17 Aries 20 – the 17 represents the degree number, the 20 represents the minutes number. It’s the number to the left of the star sign that’s what you’re looking for. Usually allow a one degree orb either way for a major planetary aspect to be relevant, i.e. in this case, 16-18 degrees. Hope that helps.